§ 17.88.070. Appeals under zoning ordinance.

Latest version.
  • A.

    Purpose. The purpose of administrative appeals is to provide an opportunity for affected parties to seek appellate review of a decision of an administrative official or the planning commission in a timely and inexpensive way. Administrative appeals are decided by the board of trustees. For purposes of this section, an underlying decision that is subject to appeal includes any order, requirement, decision, or determination made by the planning commission or by an administrative official charged with enforcement of the regulations established by the zoning ordinance of the Town; provided, however, that the underlying decision must be reduced to writing. If such underlying decision is not initially made in writing, the affected parties may request that the planning commission or the administrative official, as applicable, provide a written decision, which it shall do within fourteen (14) days of such request. The board of adjustment is responsible for final actions regarding variances (see Section 17.80.020).


    Standards to be Reviewed. The board of trustees will decide appeals according to the same standards that the decision-maker was to apply to the application but will hear the appeal in a manner that permits, as a matter of right, the introduction of new evidence by the appellant and the appellee, and in its discretion, the public.


    Scope of Review. The board of trustees will review the application in the same manner as the decision-maker. However:


    No evidence shall be presented to the board of trustees that was not considered by the decision-maker; and


    No issues shall be reviewed by the board of trustees that were not described or obviously implied by the petition for appeal.


    Petitioner. An appeal may only be initiated by a petitioner that qualifies as one of the following:


    A resident;


    An individual or a representative of a business that has a property interest in any real property that is adjacent to the property which is the subject of the decision appealed. As used in this section, "adjacent" shall mean immediately adjacent, or across an alley or right of way; or

Inserted here: materials data
~~~
Entry 1:
Ce3Tm2S8: simulated powder XRD pattern (Cu Kα), based on a structure optimized by DFT (GGA-PBE).
Lines closer than 0.1° are merged.

Cell and atoms:
```
data_Ce3Tm2S8
_cell_length_a 13.8358
_cell_length_b 8.1640
_cell_length_c 7.1162
_cell_angle_alpha 90.00
_cell_angle_beta 111.77
_cell_angle_gamma 90.00
_symmetry_space_group_name_H-M 'C 1 2/m 1'
_symmetry_Int_Tables_number 12
loop_
_symmetry_equiv_pos_as_xyz
'x,y,z'
'-x,-y,-z'
'-x,y,-z'
'x,-y,z'
'x+1/2,y+1/2,z'
'-x+1/2,-y+1/2,-z'
'-x+1/2,y+1/2,-z'
'x+1/2,-y+1/2,z'
loop_
_atom_site_label
_atom_site_type_symbol
_atom_site_fract_x
_atom_site_fract_y
_atom_site_fract_z
_atom_site_occupancy
Ce1 Ce 0.0000 0.0000 0.0000 1
Ce2 Ce 0.0000 0.2563 0.5000 1
Tm1 Tm 0.2435 0.5000 0.4621 1
S1 S 0.1191 0.0000 0.7445 1
S2 S 0.1299 0.2293 0.2787 1
S3 S 0.1322 0.5000 0.6920 1
```

Main lines, most intense first (15 to 90 degrees two-theta):
hkl 2 2 1, 2θ = 31.58°, d 2.833, I = 1000; hkl 2 2 0, 2θ = 25.89°, d 3.441, I = 526; hkl 4 0 -2, 2θ = 30.79°, d 2.904, I = 518; hkl 6 2 -1, 2θ = 45.21°, d 2.006, I = 367; hkl 2 2 -1, 2θ = 26.69°, d 3.340, I = 366; hkl 2 2 -3, 2θ = 44.17°, d 2.050, I = 314

***

Entry 2:
Ce2TmUS4: simulated powder XRD pattern (Cu Kα), based on a structure optimized by DFT (GGA-PBE).
Lines closer than 0.1° are merged.

Cell and atoms:
```
data_Ce2TmUS4
_cell_length_a 6.8254
_cell_length_b 3.9114
_cell_length_c 6.8447
_cell_angle_alpha 90.00
_cell_angle_beta 109.11
_cell_angle_gamma 90.00
_symmetry_space_group_name_H-M 'P 1 2/m 1'
_symmetry_Int_Tables_number 10
loop_
_symmetry_equiv_pos_as_xyz
'x,y,z'
'-x,-y,-z'
'-x,y,-z'
'x,-y,z'
loop_
_atom_site_label
_atom_site_type_symbol
_atom_site_fract_x
_atom_site_fract_y
_atom_site_fract_z
_atom_site_occupancy
Ce1 Ce 0.0000 0.0000 0.0000 1
Ce2 Ce 0.0000 0.5000 0.5000 1
Tm1 Tm 0.5000 0.0000 0.5000 1
U1 U 0.5000 0.5000 0.0000 1
S1 S 0.2622 0.0000 0.7504 1
S2 S 0.2646 0.5000 0.2583 1
```

Main lines, most intense first (15 to 90 degrees two-theta):
hkl 1 1 1, 2θ = 32.15°, d 2.784, I = 1000; hkl 2 0 0, 2θ = 27.62°, d 3.229, I = 435; hkl 1 1 -1, 2θ = 27.87°, d 3.201, I = 424; hkl 1 1 -3, 2θ = 46.06°, d 1.971, I = 243; hkl 3 1 -1, 2θ = 46.16°, d 1.967, I = 240; hkl 3 1 1, 2θ = 54.46°, d 1.685, I = 144

***

Entry 3:
Ce4Y3TmS8: simulated powder XRD pattern (Cu Kα), based on a structure optimized by DFT (GGA-PBE).
Lines closer than 0.1° are merged.

Cell and atoms:
```
data_Ce4Y3TmS8
_cell_length_a 7.8833
_cell_length_b 7.8833
_cell_length_c 19.6139
_cell_angle_alpha 90.00
_cell_angle_beta 90.00
_cell_angle_gamma 120.00
_symmetry_space_group_name_H-M 'R -3 m'
_symmetry_Int_Tables_number 166
_symmetry_space_group_name_Hall '-R 3 2"'
loop_
_atom_site_label
_atom_site_type_symbol
_atom_site_fract_x
_atom_site_fract_y
_atom_site_fract_z
_atom_site_occupancy
Ce1 Ce 0.0000 0.0000 0.0000 1
Ce2 Ce 0.0000 0.5000 0.0000 1
Y1 Y 0.0000 0.5000 0.5000 1
Tm1 Tm 0.0000 0.0000 0.5000 1
S1 S 0.0000 0.0000 0.2465 1
S2 S 0.0034 0.5017 0.2456 1
```
~~~
So much for the materials data


    An individual or a representative of a business that has appeared at a public meeting and made a comment on the record regarding the decision appealed.


    Appeal Petition. An administrative appeal is initiated by filing a petition with the Director of Development Services. The notice of appeal shall include the following information:


    The name, address, and telephone number of the petitioner;


    A short statement indicating the nature of the application, the application number, the date of hearing, and the decision; and


    A short but specific statement regarding the substantive basis on which the appeal is made and, if known, how the decision appealed violates the zoning ordinance. To the extent possible, the statement shall refer to the particular section numbers upon which the petitioner relies.


    Timing of Appeal. Appeal petitions shall be filed within 45 days of the date of the decision being appealed. The "date of the decision being appealed" is the date upon which the underlying decision is reduced to writing pursuant to Section 17.80.070(A). Failure to file within 45 days shall cut off the right of appeal.


    Hearing. The board of trustees shall hold a hearing on the appeal according to the following procedures unless otherwise provided in Section 1.16.020:


    Order of Presentation. The appeal hearing shall be ordered as follows:


    The petitioner shall present the appeal.


    The Town (respondent) shall present a response.


    The petitioner may cross-examine the respondent.


    The respondent may cross-examine the petitioner.


    The petitioner may make a closing argument.


    The respondent may make a closing argument.


    Questions of Participants and Public Comment. The appellate body may ask questions of a participant at any time, and at its discretion, may allow public comment on the appeal.




    The appellate body may affirm, reverse, modify, or amend any underlying decision.


    Decisions regarding appeals shall be reduced to writing by the Director of Development Services, who shall include the material factual basis for the decision, and shall be executed by the Town manager. The Town manager's signature gives effect to the decision, but does not constitute the Town manager's approval of the decision, which is not required.


    Standards. The board of trustees will affirm the underlying decision unless it finds that:


    The underlying decision was an abuse of discretion; or


    The underlying decision was not supported by the facts found in the hearing.


    Review of Appellate Body's Decision. The board of trustee's final decision is reviewable pursuant to C.R.C.P. 106(a)(4), or as otherwise provided by state or federal law.

_Data records, kept here for reference_
The following is a computed powder diffraction line list of Ac2AsPd4Pt2. It was derived from a DFT-relaxed cell (PBE, Alexandria), using Cu Ka.

Principal peaks in the range 10° ≤ 2θ ≤ 80°, sorted by position:
2θ/deg, d/Å, I/Imax, (hkl)
28.14, 3.172, 154, 2 0 0
34.27, 2.616, 1000, 2 0 2
38.91, 2.314, 221, 0 0 4
40.21, 2.243, 412, 2 2 0
57.20, 1.611, 268, 2 2 4
69.29, 1.356, 222, 4 2 2

Cell: 6.3431 6.3431 9.2573 Å, 90.00 90.00 90.00°
Space group I4/mmm (No. 139)
One atom of each set of equivalent atoms:
Ac1 0.0000 0.5000 0.2500 (multiplicity 4)
As1 0.0000 0.0000 0.0000 (multiplicity 2)
Pd1 0.2223 0.2223 0.5000 (multiplicity 8)
Pt1 0.0000 0.0000 0.2730 (multiplicity 4)

(Ord. No. 14-2016 , § 3, 7-18-2016)